********
Entry 1:
Crystalline Ca2Fe at its relaxed geometry. Source: Alexandria, functional PBE.

abc: 7.134 7.134 7.134
angles: 90.00 90.00 90.00
Space group Pa-3 (No. 205)
Unique sites:
Ca  0.161  0.161  0.161 x8
Fe  0.000  0.000  0.500 x4

Properties
Crystal system: cubic
E, eV per atom: -3.57
ΔE_f, eV/f.u.: 1.76

***

Entry 2:
Crystalline CaFe5 at its relaxed geometry. Source: Alexandria, functional PBE.

abc: 8.473 2.933 7.765
angles: 90.00 108.29 90.00
Space group C2/m (No. 12)
Unique sites:
Ca  0.000  0.000  0.000 x2
Fe  0.000  0.000  0.500 x2
Fe  0.161  0.500  0.368 x4
Fe  0.161  0.500  0.742 x4

Properties
Crystal system: monoclinic
E, eV per atom: -7.05
ΔE_f, eV/f.u.: 2.00

***

Entry 3:
Crystalline CaFe3 at its relaxed geometry. Source: Alexandria, functional PBE.

abc: 3.012 3.307 6.542
angles: 90.00 90.00 90.00
Space group Pmmm (No. 47)
Unique sites:
Ca  0.000  0.000  0.000 x1
Fe  0.000  0.000  0.500 x1
Fe  0.500  0.500  0.325 x2

Properties
Crystal system: orthorhombic
E, eV per atom: -6.47
ΔE_f, eV/f.u.: 1.50


The following is a DFT calculation (meta-GGA SCAN) of a PBEsol-optimized structure of LiBH4.

Lattice parameters (Å, degrees): 3.9824 3.9824 3.9824 60.00 60.00 60.00
Element x y z (fractional)
Li  0.0000  0.0000  0.0000
B  0.5000  0.5000  0.5000
H  0.1240  0.6253  0.6253
H  0.6253  0.1240  0.6253
H  0.6253  0.6253  0.1240
H  0.6253  0.6253  0.6253

## Properties
D(E_F) ... 0.0 states/eV per cell
Space-group type ... No. 216
Final energy ... -4.262 eV/atom
Total moment ... 0.0 μB per formula unit
Crystal system ... cubic
Energy above the lowest structure with this stoichiometry ... 0.068 eV/atom

The following is a DFT calculation (meta-GGA SCAN) of a PBEsol-optimized structure of LiB6H6.

Lattice parameters (Å, degrees): 9.4010 9.4010 9.4010 90.00 90.00 90.00
Element x y z (fractional)
Li  0.1447  0.1447  0.1447
Li  0.1447  0.3553  0.6447
Li  0.3553  0.6447  0.1447
Li  0.3553  0.8553  0.6447
Li  0.6447  0.1447  0.3553
Li  0.6447  0.3553  0.8553
Li  0.8553  0.6447  0.3553
Li  0.8553  0.8553  0.8553
B  0.0378  0.5387  0.8282
B  0.0378  0.9613  0.3282
B  0.0387  0.6718  0.9622
B  0.0387  0.8282  0.4622
B  0.0901  0.1236  0.4083
B  0.0901  0.3764  0.9083
B  0.0917  0.5901  0.1236
B  0.0917  0.9099  0.6236
B  0.1236  0.0917  0.5901
B  0.1236  0.4083  0.0901
B  0.1718  0.5378  0.9613
B  0.1718  0.9622  0.4613
B  0.3282  0.0378  0.9613
B  0.3282  0.4622  0.4613
B  0.3764  0.5917  0.5901
B  0.3764  0.9083  0.0901
B  0.4083  0.0901  0.1236
B  0.4083  0.4099  0.6236
B  0.4099  0.6236  0.4083
B  0.4099  0.8764  0.9083
B  0.4613  0.1718  0.9622
B  0.4613  0.3282  0.4622
B  0.4622  0.0387  0.8282
B  0.4622  0.4613  0.3282
B  0.5378  0.5387  0.6718
B  0.5378  0.9613  0.1718
B  0.5387  0.6718  0.5378
B  0.5387  0.8282  0.0378
B  0.5901  0.1236  0.0917
B  0.5901  0.3764  0.5917
B  0.5917  0.5901  0.3764
B  0.5917  0.9099  0.8764
B  0.6236  0.0917  0.9099
B  0.6236  0.4083  0.4099
B  0.6718  0.5378  0.5387
B  0.6718  0.9622  0.0387
B  0.8282  0.0378  0.5387
B  0.8282  0.4622  0.0387
B  0.8764  0.5917  0.9099
B  0.8764  0.9083  0.4099
B  0.9083  0.0901  0.3764
B  0.9083  0.4099  0.8764
B  0.9099  0.6236  0.0917
B  0.9099  0.8764  0.5917
B  0.9613  0.1718  0.5378
B  0.9613  0.3282  0.0378
B  0.9622  0.0387  0.6718
B  0.9622  0.4613  0.1718
H  0.0619  0.5650  0.7044
H  0.0619  0.9350  0.2044
H  0.0650  0.7044  0.4381
H  0.0650  0.7956  0.9381
H  0.1545  0.6548  0.2152
H  0.1545  0.8452  0.7152
H  0.1548  0.2152  0.3455
H  0.1548  0.2848  0.8455
H  0.2044  0.0619  0.9350
H  0.2044  0.4381  0.4350
H  0.2152  0.1545  0.6548
H  0.2152  0.3455  0.1548
H  0.2848  0.6545  0.6548
H  0.2848  0.8455  0.1548
H  0.2956  0.5619  0.9350
H  0.2956  0.9381  0.4350
H  0.3452  0.7152  0.3455
H  0.3452  0.7848  0.8455
H  0.3455  0.1548  0.2152
H  0.3455  0.3452  0.7152
H  0.4350  0.2044  0.4381
H  0.4350  0.2956  0.9381
H  0.4381  0.0650  0.7044
H  0.4381  0.4350  0.2044
H  0.5619  0.5650  0.7956
H  0.5619  0.9350  0.2956
H  0.5650  0.7044  0.0619
********
Search the entries further above for the word "Total" and write out each line that has it.
Total moment ... 0.0 μB per formula unit